UNESCO Institute for Statistics

Last updated
Institute for Statistics of UNESCO
TypeCross-nationally comparable statistics
Member of UNESCO
Seat Montreal, Quebec, Canada
Website uis.unesco.org

### Unrelated to this page: crystal structures
********
No. 1
VASP calculation (GGA-PBE) on crystalline Ca3Ac at its relaxed geometry.

Output
Energy of formation   0.057 eV per atom
Raw total energy   -9.91 eV per formula unit

```
16
Lattice="8.765 0.000 0.000 0.000 8.765 0.000 0.000 0.000 8.765" Properties=species:S:1:pos:R:3 pbc="T T T"
Ca 0.000 0.000 0.000
Ca 0.000 4.383 4.383
Ca 2.191 2.191 2.191
Ca 2.191 2.191 6.574
Ca 2.191 6.574 2.191
Ca 2.191 6.574 6.574
Ca 4.383 0.000 4.383
Ca 4.383 4.383 0.000
Ca 6.574 2.191 2.191
Ca 6.574 2.191 6.574
Ca 6.574 6.574 2.191
Ca 6.574 6.574 6.574
Ac 0.000 0.000 4.383
Ac 0.000 4.383 0.000
Ac 4.383 0.000 0.000
Ac 4.383 4.383 4.383
```

=====

No. 2
VASP calculation (GGA-PBE) on crystalline CaAcGa2 at its relaxed geometry.

Output
Energy of formation   -0.450 eV per atom
Raw total energy   -13.98 eV per formula unit

```
16
Lattice="7.646 0.000 0.000 0.000 7.646 0.000 0.000 0.000 7.646" Properties=species:S:1:pos:R:3 pbc="T T T"
Ca 0.000 0.000 0.000
Ca 0.000 3.823 3.823
Ca 3.823 0.000 3.823
Ca 3.823 3.823 0.000
Ac 0.000 0.000 3.823
Ac 0.000 3.823 0.000
Ac 3.823 0.000 0.000
Ac 3.823 3.823 3.823
Ga 1.911 1.911 1.911
Ga 1.911 1.911 5.734
Ga 1.911 5.734 1.911
Ga 1.911 5.734 5.734
Ga 5.734 1.911 1.911
Ga 5.734 1.911 5.734
Ga 5.734 5.734 1.911
Ga 5.734 5.734 5.734
```

=====

No. 3
VASP calculation (GGA-PBE) on crystalline CaAcZn2 at its relaxed geometry.

Output
Energy of formation   -0.273 eV per atom
Raw total energy   -9.74 eV per formula unit

```
16
Lattice="7.642 0.000 0.000 0.000 7.642 0.000 0.000 0.000 7.642" Properties=species:S:1:pos:R:3 pbc="T T T"
Ca 0.000 0.000 0.000
Ca 0.000 3.821 3.821
Ca 3.821 0.000 3.821
Ca 3.821 3.821 0.000
Ac 0.000 0.000 3.821
Ac 0.000 3.821 0.000
Ac 3.821 0.000 0.000
Ac 3.821 3.821 3.821
Zn 1.911 1.911 1.911
Zn 1.911 1.911 5.732
Zn 1.911 5.732 1.911
Zn 1.911 5.732 5.732
Zn 5.732 1.911 1.911
Zn 5.732 1.911 5.732
Zn 5.732 5.732 1.911
Zn 5.732 5.732 5.732
```

=====

No. 4
VASP calculation (GGA-PBE) on crystalline Ac2CdGa at its relaxed geometry.

Output
Energy of formation   -0.352 eV per atom
Raw total energy   -13.60 eV per formula unit

```
16
Lattice="8.022 0.000 0.000 0.000 8.022 0.000 0.000 0.000 8.022" Properties=species:S:1:pos:R:3 pbc="T T T"
Ac 2.005 2.005 2.005
Ac 2.005 2.005 6.016
Ac 2.005 6.016 2.005
Ac 2.005 6.016 6.016
Ac 6.016 2.005 2.005
Ac 6.016 2.005 6.016
Ac 6.016 6.016 2.005
Ac 6.016 6.016 6.016
Cd 0.000 0.000 0.000
Cd 0.000 4.011 4.011
Cd 4.011 0.000 4.011
Cd 4.011 4.011 0.000
Ga 0.000 0.000 4.011
Ga 0.000 4.011 0.000
Ga 4.011 0.000 0.000
Ga 4.011 4.011 4.011
```

=====

No. 5
VASP calculation (GGA-PBE) on crystalline Ac2CdGe at its relaxed geometry.

Output
Energy of formation   -0.396 eV per atom
Raw total energy   -15.37 eV per formula unit

```
16
Lattice="7.961 0.000 0.000 0.000 7.961 0.000 0.000 0.000 7.961" Properties=species:S:1:pos:R:3 pbc="T T T"
Ac 1.990 1.990 1.990
Ac 1.990 1.990 5.971
Ac 1.990 5.971 1.990
Ac 1.990 5.971 5.971
Ac 5.971 1.990 1.990
Ac 5.971 1.990 5.971
Ac 5.971 5.971 1.990
********
### End of the crystal structures

The UNESCO Institute for Statistics (UIS) [1] is the statistical office of UNESCO and is the UN depository for cross-nationally comparable statistics on education, science and technology, culture, and communication.


The UIS was established in 1999. Based in Montreal, Quebec, Canada, it was created by a collaboration between Université de Montréal, the INRS and UNESCO to provide statistics for the UN. [2]

The institute serves member states of UNESCO as well as intergovernmental and nongovernmental organisations, research institutes, universities, and citizens. All data is available for free.

Its offices are based at Côte-des-Neiges on the main campus of Université de Montréal, in building 3333 Queen-Mary Road.

The institute provides education data to many global reports and databases, such as the SDG global database of the UN Stats Division, the Global Education Monitoring Report, World Development Indicators and World Development Report (World Bank), Human Development Report (UNDP), and State of the World's Children (UNICEF).

Sex-disaggregated indicators are systematically integrated into all UIS data collections.


Areas of work

Program highlights

UIS open data

All UIS data is freely available in different formats.

Designed for expert users, the UIS database is an online resource that provides country profiles, indicators, and data series in UNESCO's fields of competence, tools to build statistical tables, related documentation, and metadata. Developers and researchers can also use an API [5] to download UIS data in machine-readable formats.

General users can explore the data through a series of indicator pages that present charts and tables that can easily be customised, shared, and downloaded.[ citation needed ]

The UIS also has a data visualisation gallery that features interactive products on key issues, such as women in science, children out of school, and girls’ education in Africa.

Capacity building

The institute works with national statisticians and policymakers to improve data quality by providing training, diagnostic tools, standard, and guidelines on the collection, analysis, and use of statistical information. These services take many forms, from regional training workshops to on-site technical assistance projects through the UIS network of statistical advisers in the field.

Research and analysis

The UIS provides analytical services in a number of critical policy areas, such as exclusion from education, education quality, education finance, investments in research and development, etc.


The UIS publishes statistical and analytical reports in addition to methodological guides and international classifications. The institute's flagship publication, the Sustainable Development Data Digest, [6] is available in several UN languages.

The institute also produces a series of e-atlases, using interactive maps and charts to present the data on key issues, such as Sustainable Development Goal 4 – Education 2030, gender inequality in education, literacy, teachers, and global trends in R&D.


As an autonomous organisation, the UIS has its own governing board that consists of 12 experts from different regions and organisational backgrounds. The board's primary tasks are to ensure the independence of the institute, define UIS policy and its broad functions, and approve its program and budget. In addition, the board monitors, evaluates, and advises on the institute's operations.


  1. UNESCO Institute for Statistics website.
  2. UIS Basic Texts, Retrieved February 3, 2017.
  3. "Leading SDG 4 - Education 2030". UNESCO . Archived from the original on 2022-03-31. Retrieved 2023-10-12.
  4. International Standard Classification of Education 2011 Retrieved February 3, 2017.
  5. UIS API data portal
  6. Sustainable Development Data Digest: Laying the Foundation to Measure Sustainable Development Goal 4 Retrieved February 3, 2017.